**Assignment:**
The reader should duplicate the whole of the calculation results below unchanged.

**Source:**
(1)
VASP calculation (PBE) on ErTl2Zn3F12 after structural relaxation.

Cell: 6.7646 6.7646 6.7646 Å, 67.97 67.97 67.97°
Fractional coordinates of all 18 atoms:
Er 0.0000 0.0000 0.0000
Tl 0.6073 0.6073 0.6073
Tl 0.3927 0.3927 0.3927
Zn 0.5000 0.0000 0.0000
Zn 0.0000 0.5000 0.0000
Zn 0.0000 0.0000 0.5000
F 0.2432 0.2432 0.8917
F 0.8476 0.8476 0.4177
F 0.4177 0.8476 0.8476
F 0.8917 0.2432 0.2432
F 0.8476 0.4177 0.8476
F 0.2432 0.8917 0.2432
F 0.7568 0.7568 0.1083
F 0.1524 0.1524 0.5823
F 0.5823 0.1524 0.1524
F 0.1083 0.7568 0.7568
F 0.1524 0.5823 0.1524
F 0.7568 0.1083 0.7568

Properties
Total magnetic moment = 0.00 μB per formula unit

=====

(2)
VASP calculation (PBE) on ErTlZn2F8 after structural relaxation.

Cell: 5.4205 5.4205 8.6200 Å, 71.67 71.67 60.00°
Fractional coordinates of all 12 atoms:
Er 0.0000 0.0000 0.0000
Tl 0.5000 0.5000 0.5000
Zn 0.2460 0.2460 0.2619
Zn 0.7540 0.7540 0.7381
F 0.1686 0.1686 0.4941
F 0.6157 0.2624 0.1592
F 0.8314 0.8314 0.5059
F 0.9627 0.6157 0.1592
F 0.0373 0.3843 0.8408
F 0.2624 0.9627 0.1592
F 0.7376 0.0373 0.8408
F 0.3843 0.7376 0.8408

Properties
Total magnetic moment = 0.00 μB per formula unit

=====

(3)
VASP calculation (PBE) on ErTlZnF6 after structural relaxation.

Cell: 8.1417 7.6737 7.9041 Å, 119.04 121.00 90.00°
Fractional coordinates of all 18 atoms:
Er 0.5000 0.0000 0.5000
Er 0.0000 0.0000 0.5000
Tl 0.7766 0.5266 0.5533
Tl 0.2234 0.4734 0.4467
Zn 0.5000 0.5000 0.0000
Zn 0.5000 0.0000 0.0000
F 0.4486 0.6986 0.8971
F 0.8218 0.0718 0.6435
F 0.8087 0.0935 0.2665
F 0.4578 0.6730 0.2665
F 0.4578 0.0935 0.2665
F 0.8087 0.6730 0.2665
F 0.5514 0.3014 0.1029
F 0.1782 0.9282 0.3565
F 0.1913 0.9065 0.7335
F 0.5422 0.3270 0.7335
F 0.5422 0.9065 0.7335
F 0.1913 0.3270 0.7335

Properties
Total magnetic moment = 0.00 μB per formula unit

=====

(4)
VASP calculation (PBE) on ErTm2F11 after structural relaxation.

Cell: 8.2156 8.5003 8.5003 Å, 72.72 61.10 61.10°
Fractional coordinates of all 28 atoms:
Er 0.7500 0.7500 0.7500
Er 0.2500 0.2500 0.2500
Tm 0.6582 0.6891 0.3109
Tm 0.3418 0.3109 0.6891
Tm 0.8418 0.1891 0.8109
Tm 0.1582 0.8109 0.1891
F 0.6586 0.7097 0.5577
F 0.3414 0.2903 0.4423
F 0.0740 0.5577 0.7097
F 0.8414 0.9423 0.7903
F 0.9260 0.4423 0.2903
F 0.1586 0.0577 0.2097
F 0.4260 0.7903 0.9423
F 0.5740 0.2097 0.0577
F 0.5000 0.5000 0.5000
F 0.0000 0.0000 0.0000
F 0.8900 0.8035 0.1965
F 0.1100 0.1965 0.8035
F 0.6100 0.3035 0.6965
F 0.3900 0.6965 0.3035
F 0.4594 0.9718 0.3142
F 0.5406 0.0282 0.6858
F 0.2545 0.3142 0.9718
F 0.0406 0.1858 0.5282
F 0.7455 0.6858 0.0282
F 0.9594 0.8142 0.4718
F 0.2455 0.5282 0.1858
F 0.7545 0.4718 0.8142

Properties
Total magnetic moment = 2.10 μB per formula unit

=====

Going through the records in order, we get total energy values of -4.439 -4.799 -5.159 -5.918 eV/atom.
Going through the records in order, we get uncorrected formation energy values of -2463.1 -2761.4 -3000.2 -3483.3 meV per atom.

----------

No. 1
Here is ZrNiSbRu after structural relaxation from Alexandria. Energies are from PBE.

Values from the calculation:
ΔE_f (raw): -358 meV/atom
M_tot: 0.0 μB/cell

a = 6.4368 Å, b = 6.4368 Å, c = 6.4368 Å
α = 90.00°, β = 90.00°, γ = 90.00°
Closest atoms and distances in Å follow each position.
Space group F-43m (No. 216)
Asymmetric unit:
Zr: 0.0000 0.0000 0.0000 x4  4 Ru 2.79, 4 Ni 2.79
Ni: 0.2500 0.2500 0.7500 x4  4 Zr 2.79, 4 Sb 2.79
Sb: 0.0000 0.0000 0.5000 x4  4 Ni 2.79, 4 Ru 2.79
Ru: 0.2500 0.2500 0.2500 x4  4 Sb 2.79, 4 Zr 2.79

No. 2
Here is SnBiRh after structural relaxation from Alexandria. Energies are from PBE.

Values from the calculation:
M_tot: 0.0 μB/cell
total DFT energy (no corrections): -15.162 eV for the cell shown

a = 4.5827 Å, b = 4.5827 Å, c = 3.9185 Å
α = 90.00°, β = 90.00°, γ = 120.00°
Closest atoms and distances in Å follow each position.
Space group P3m1 (No. 156)
Asymmetric unit:
Sn: 0.0000 0.0000 0.0000 x1  3 Rh 2.65
Bi: 0.6667 0.3333 0.5011 x1  6 Rh 3.28-3.30, 6 Sn 3.29
Rh: 0.3333 0.6667 0.9970 x1  3 Sn 2.65

No. 3

**Here it is:**
(1)
VASP calculation (PBE) on ErTl2Zn3F12 after structural relaxation.

Cell: 6.7646 6.7646 6.7646 Å, 67.97 67.97 67.97°
Fractional coordinates of all 18 atoms:
Er 0.0000 0.0000 0.0000
Tl 0.6073 0.6073 0.6073
Tl 0.3927 0.3927 0.3927
Zn 0.5000 0.0000 0.0000
Zn 0.0000 0.5000 0.0000
Zn 0.0000 0.0000 0.5000
F 0.2432 0.2432 0.8917
F 0.8476 0.8476 0.4177
F 0.4177 0.8476 0.8476
F 0.8917 0.2432 0.2432
F 0.8476 0.4177 0.8476
F 0.2432 0.8917 0.2432
F 0.7568 0.7568 0.1083
F 0.1524 0.1524 0.5823
F 0.5823 0.1524 0.1524
F 0.1083 0.7568 0.7568
F 0.1524 0.5823 0.1524
F 0.7568 0.1083 0.7568

Properties
Total magnetic moment = 0.00 μB per formula unit

=====

(2)
VASP calculation (PBE) on ErTlZn2F8 after structural relaxation.

Cell: 5.4205 5.4205 8.6200 Å, 71.67 71.67 60.00°
Fractional coordinates of all 12 atoms:
Er 0.0000 0.0000 0.0000
Tl 0.5000 0.5000 0.5000
Zn 0.2460 0.2460 0.2619
Zn 0.7540 0.7540 0.7381
F 0.1686 0.1686 0.4941
F 0.6157 0.2624 0.1592
F 0.8314 0.8314 0.5059
F 0.9627 0.6157 0.1592
F 0.0373 0.3843 0.8408
F 0.2624 0.9627 0.1592
F 0.7376 0.0373 0.8408
F 0.3843 0.7376 0.8408

Properties
Total magnetic moment = 0.00 μB per formula unit

=====

(3)
VASP calculation (PBE) on ErTlZnF6 after structural relaxation.

Cell: 8.1417 7.6737 7.9041 Å, 119.04 121.00 90.00°
Fractional coordinates of all 18 atoms:
Er 0.5000 0.0000 0.5000
Er 0.0000 0.0000 0.5000
Tl 0.7766 0.5266 0.5533
Tl 0.2234 0.4734 0.4467
Zn 0.5000 0.5000 0.0000
Zn 0.5000 0.0000 0.0000
F 0.4486 0.6986 0.8971
F 0.8218 0.0718 0.6435
F 0.8087 0.0935 0.2665
F 0.4578 0.6730 0.2665
F 0.4578 0.0935 0.2665
F 0.8087 0.6730 0.2665
F 0.5514 0.3014 0.1029
F 0.1782 0.9282 0.3565
F 0.1913 0.9065 0.7335
F 0.5422 0.3270 0.7335
F 0.5422 0.9065 0.7335
F 0.1913 0.3270 0.7335

Properties
Total magnetic moment = 0.00 μB per formula unit

=====

(4)
VASP calculation (PBE) on ErTm2F11 after structural relaxation.

Cell: 8.2156 8.5003 8.5003 Å, 72.72 61.10 61.10°
Fractional coordinates of all 28 atoms:
Er 0.7500 0.7500 0.7500
Er 0.2500 0.2500 0.2500
Tm 0.6582 0.6891 0.3109
Tm 0.3418 0.3109 0.6891
Tm 0.8418 0.1891 0.8109
Tm 0.1582 0.8109 0.1891
F 0.6586 0.7097 0.5577
F 0.3414 0.2903 0.4423
F 0.0740 0.5577 0.7097
F 0.8414 0.9423 0.7903
F 0.9260 0.4423 0.2903
F 0.1586 0.0577 0.2097
F 0.4260 0.7903 0.9423
F 0.5740 0.2097 0.0577
F 0.5000 0.5000 0.5000
F 0.0000 0.0000 0.0000
F 0.8900 0.8035 0.1965
F 0.1100 0.1965 0.8035
F 0.6100 0.3035 0.6965
F 0.3900 0.6965 0.3035
F 0.4594 0.9718 0.3142
F 0.5406 0.0282 0.6858
F 0.2545 0.3142 0.9718
F 0.0406 0.1858 0.5282
F 0.7455 0.6858 0.0282
F 0.9594 0.8142 0.4718
F 0.2455 0.5282 0.1858
F 0.7545 0.4718 0.8142

Properties
Total magnetic moment = 2.10 μB per formula unit

=====

Going through the records in order, we get total energy values of -4.439 -4.799 -5.159 -5.918 eV/atom.
Going through the records in order, we get uncorrected formation energy values of -2463.1 -2761.4 -3000.2 -3483.3 meV per atom.

----------

No. 1
Here is ZrNiSbRu after structural relaxation from Alexandria. Energies are from PBE.

Values from the calculation:
ΔE_f (raw): -358 meV/atom
M_tot: 0.0 μB/cell

a = 6.4368 Å, b = 6.4368 Å, c = 6.4368 Å
α = 90.00°, β = 90.00°, γ = 90.00°
Closest atoms and distances in Å follow each position.
Space group F-43m (No. 216)
Asymmetric unit:
Zr: 0.0000 0.0000 0.0000 x4  4 Ru 2.79, 4 Ni 2.79
Ni: 0.2500 0.2500 0.7500 x4  4 Zr 2.79, 4 Sb 2.79
Sb: 0.0000 0.0000 0.5000 x4  4 Ni 2.79, 4 Ru 2.79
Ru: 0.2500 0.2500 0.2500 x4  4 Sb 2.79, 4 Zr 2.79

No. 2
Here is SnBiRh after structural relaxation from Alexandria. Energies are from PBE.

Values from the calculation:
M_tot: 0.0 μB/cell
total DFT energy (no corrections): -15.162 eV for the cell shown

a = 4.5827 Å, b = 4.5827 Å, c = 3.9185 Å
α = 90.00°, β = 90.00°, γ = 120.00°
Closest atoms and distances in Å follow each position.
Space group P3m1 (No. 156)
Asymmetric unit:
Sn: 0.0000 0.0000 0.0000 x1  3 Rh 2.65
Bi: 0.6667 0.3333 0.5011 x1  6 Rh 3.28-3.30, 6 Sn 3.29
Rh: 0.3333 0.6667 0.9970 x1  3 Sn 2.65

No. 3